The Chinese balloon shot down by the US military had the capability to detect and collect intelligence signals as part of a huge, military-linked aerial surveillance program that had flown over "more than 40 countries across five continents", said the  Biden administration on Thursday, reported the Associated Press.

The People’s Liberation Army operates a fleet of balloons equipped with modern technology to gather sensitive information from targets across the globe the US said. Similar balloons have sailed over five continents, according to the administration.

"High-resolution imagery from U-2 flybys revealed that the high-altitude balloon was capable of conducting signals intelligence collection operations," said a senior State Department official to CNN.

Speaking on the condition of anonymity, senior FBI officials said that a few pieces of the balloon had arrived at the FBI’s Quantico, Virginia, lab for investigation. So far, investigators have parts of the balloon canopy, wiring, and what one official called "a very small amount of electronics," reported AP.

Materials data that have nothing to do with the article:
Starting from a structure optimized by DFT (PBE), the X-ray powder pattern of HoBe3Au10 was simulated for Cu Kα, 1.54184 Å.

Principal peaks in the range 5 to 70 degrees two-theta, low angle first:
28.79 deg, I 13, hkl 4 0 0
32.28 deg, I 42, hkl 4 2 0
35.46 deg, I 21, hkl 4 2 2
37.68 deg, I 100, hkl 3 3 3
41.17 deg, I 15, hkl 4 4 0
43.15 deg, I 46, hkl 5 3 1
61.67 deg, I 15, hkl 6 4 4
63.66 deg, I 27, hkl 6 6 0
65.13 deg, I 13, hkl 5 5 5
68.98 deg, I 14, hkl 9 1 1

Cell and atoms:
Cell lengths 12.4034, 12.4034, 12.4034 Å; angles 90.00, 90.00, 90.00 degrees
Space group Fm-3m (No. 225)
Unique sites:
Ho 0.2500 0.2500 0.2500
Be 0.0000 0.0000 0.2358
Au 0.0000 0.1694 0.3306
Au 0.1145 0.1145 0.1145

Starting from a structure optimized by DFT (PBE), the X-ray powder pattern of BeAuI4 was simulated for Cu Kα, 1.54184 Å.

Principal peaks in the range 5 to 70 degrees two-theta, low angle first:
12.54 deg, I 42, hkl 0 0 4
21.98 deg, I 12, hkl 1 0 5
22.59 deg, I 25, hkl 1 1 2
25.13 deg, I 100, hkl 1 1 4
34.76 deg, I 14, hkl 1 2 1
35.94 deg, I 12, hkl 2 1 3
40.27 deg, I 52, hkl 2 0 8
44.20 deg, I 20, hkl 2 2 0
44.39 deg, I 17, hkl 1 1 12
51.53 deg, I 24, hkl 3 1 4

Cell and atoms:
Cell lengths 5.7954, 5.7954, 28.2391 Å; angles 90.00, 90.00, 90.00 degrees
Space group I4_1/a (No. 88, origin choice 2)
Unique sites:
Be 0.0000 0.2500 0.1250
Au 0.0000 0.2500 0.6250
I 0.2231 0.0267 0.1812

* * * * *

Theoretical X-ray powder pattern of Zn3Ga2Ag for copper Kα, from DFT lattice parameters and positions (PBE).
Peak positions follow from Bragg's law for the DFT cell and can differ from measured ones.

The 10 most intense peaks (2θ from 15° to 90°), in order of rising 2θ:
d = 2.982 Å, intensity 50; d = 2.642 Å, intensity 22; d = 2.227 Å, intensity 42; d = 2.123 Å, intensity 100; d = 2.098 Å, intensity 53; d = 1.784 Å, intensity 26; d = 1.641 Å, intensity 12; d = 1.293 Å, intensity 16; d = 1.265 Å, intensity 17; d = 1.128 Å, intensity 14

Atomic structure:
Cell lengths 4.515, 4.515, 10.800 Å; angles 97.38, 97.38, 104.38 degrees
Fractional coordinates of all 12 atoms:
Zn1 0.051 0.949 0.750
Zn2 0.190 0.321 0.993
Zn3 0.321 0.190 0.493
Zn4 0.679 0.810 0.507
Zn5 0.810 0.679 0.007
Zn6 0.949 0.051 0.250
Ga1 0.098 0.612 0.389
Ga2 0.388 0.902 0.111
Ga3 0.612 0.098 0.889
Ga4 0.902 0.388 0.611
Ag1 0.463 0.537 0.750
Ag2 0.537 0.463 0.250

---

Theoretical X-ray powder pattern of TlGe2O4 for copper Kα, from DFT lattice parameters and positions (PBE).
Peak positions follow from Bragg's law for the DFT cell and can differ from measured ones.

The 10 most intense peaks (2θ from 15° to 90°), in order of rising 2θ:
d = 3.833 Å, intensity 52; d = 3.773 Å, intensity 100; d = 3.410 Å, intensity 41; d = 2.939 Å, intensity 51; d = 2.759 Å, intensity 23; d = 2.742 Å, intensity 24; d = 2.724 Å, intensity 38; d = 2.531 Å, intensity 45; d = 2.015 Å, intensity 28; d = 1.470 Å, intensity 25

Atomic structure:
Cell lengths 5.878, 5.878, 8.373 Å; angles 111.57, 111.57, 60.04 degrees
Back to the article:

The details about the program’s scope and capabilities was meant to outline China’s persistent denials that the balloon was used for spying, including a claim Thursday that US accusations about the balloon amount to "information warfare," reported the news agency.

President Joe Biden defended the US action but denied that the balloon episode represented a major security breach.

"Look, the total amount of intelligence gathering that’s going on by every country around the world is overwhelming," said the President in an interview to Spanish language Telemundo Noticias, according to AP.

"Anyway, it’s not a major breach. I mean, look ... it’s a violation of international law. It’s our airspace. And once it comes into our space, we can do what we want with it," he added.

Meanwhile, on Thursday, US lawmakers passed a non-binding resolution to condemn China for a "brazen violation" of US sovereignty and efforts to "deceive the international community through false claims about its intelligence collection campaigns," reported AP.

The Chinese "Spy" balloon was shot down by the US last weekend over the Atlantic Ocean. 

This is not the first time the U.S. government has publicly called out alleged activities of the People’s Liberation Army. In a first-of-its-kind prosecution in 2014, the Obama administration Justice Department indicted five accused PLA hackers of breaking into the computer networks of major American corporations in an effort to steal trade secrets, the AP report stated.